Taxpayer-funded pension contributions in New York City will rise $732 million above previous projections between fiscal years 2018 and 2020, following paltry investment earnings in the recently concluded 2016 fiscal year, City Comptroller Scott Stringer has just disclosed.
During the year ending June 30, the pension funds earned a combined investment return, net of fees, of just 1.46 percent—well short of the funds’ assumed (i.e., ardently hoped-for) return of 7 percent.
Materials data that have nothing to do with the piece:
********
# Zn2SbRhPb (GGA-PBE, optimized geometry)
data_Zn2SbRhPb
_space_group_name_H-M_alt 'P 4/m m m'
_space_group_IT_number 123
_space_group_name_Hall '-P 4 2'
_cell_length_a 4.875
_cell_length_b 4.875
_cell_length_c 5.142
_cell_angle_alpha 90.00
_cell_angle_beta 90.00
_cell_angle_gamma 90.00
loop_
_atom_site_label
_atom_site_fract_x
_atom_site_fract_y
_atom_site_fract_z
Zn1 0.000 0.500 0.000
Sb1 0.000 0.000 0.500
Rh1 0.500 0.500 0.000
Pb1 0.500 0.500 0.500
# - final energy (eV per atom) = -3.3311

***

# Cd3SiOs (GGA-PBE, optimized geometry)
data_Cd3SiOs
_space_group_name_H-M_alt 'P m -3 m'
_space_group_IT_number 221
_space_group_name_Hall '-P 4 2 3'
_cell_length_a 5.167
_cell_length_b 5.167
_cell_length_c 5.167
_cell_angle_alpha 90.00
_cell_angle_beta 90.00
_cell_angle_gamma 90.00
loop_
_atom_site_label
_atom_site_fract_x
_atom_site_fract_y
_atom_site_fract_z
Cd1 0.000 0.000 0.500
Si1 0.500 0.500 0.500
Os1 0.000 0.000 0.000
# - distance to the lowest polymorph of the same formula (meV per atom) = 0.0

***

# CsGaB3 (GGA-PBE, optimized geometry)
data_CsGaB3
_space_group_name_H-M_alt 'P m -3 m'
_space_group_IT_number 221
_space_group_name_Hall '-P 4 2 3'
_cell_length_a 5.071
_cell_length_b 5.071
_cell_length_c 5.071
_cell_angle_alpha 90.00
_cell_angle_beta 90.00
_cell_angle_gamma 90.00
loop_
_atom_site_label
_atom_site_fract_x
_atom_site_fract_y
_atom_site_fract_z
Cs1 0.000 0.000 0.000
Ga1 0.500 0.500 0.500
B1 0.000 0.000 0.500
# - final energy (eV per atom) = -1.5367

***

# RbCoPb2 (GGA-PBE, optimized geometry)
data_RbCoPb2
_space_group_name_H-M_alt 'F m -3 m'
_space_group_IT_number 225
_space_group_name_Hall '-F 4 2 3'
_cell_length_a 7.460
_cell_length_b 7.460
_cell_length_c 7.460
_cell_angle_alpha 90.00
_cell_angle_beta 90.00
_cell_angle_gamma 90.00
loop_
_atom_site_label
********
So much for the materials data:
As a result, compared to projections in Mayor Bill de Blasio’s just-adopted financial plan, pension contributions will need to rise by another $122 million in 2018, $244 million in fiscal 2019, and $366 million in fiscal 2020, Stringer said in his comments on the adopted budget for fiscal 2017. The comptroller is the custodian of and investment adviser to the five separately governed municipal pension funds for police officers, firefighters, teachers, and other employees.
The experience of New York City’s funds, collectively valued at more than $163 billion, is similar to those of other large public retirement systems with the same fiscal schedule—including the $183 billion California State Teachers Retirement System (CalSTERS), which also reported a 1.4 percent return for fiscal 2016. The massive California Public Employees’ Retirement System (CalPERS) reported a net gain of just 0.6 percent for the same period. New York State’s Common Retirement Fund, which feeds the New York State and Local Retirement System (NYSLRS), reported a gain of just 0.16 percent for its fiscal year, which ended March 31.
Stringer and state Comptroller Thomas DiNapoli, the sole trustee of the state fund, both report their investment returns on at least a quarterly basis and also have produced prompt preliminary estimates of annual returns. By contrast—inexplicably—the New York State Teachers’ Retirement System, whose fiscal year ended June 30, customarily does not disclose its annual results until the fall.
As first predicted here almost a month ago, the most recent fiscal year was a bad one for public pension funds across the country, because virtually all of those funds are heavily invested in domestic and global stock markets that performed poorly for over a year now. In fact, the latest year’s losses came on the heels of sub-par returns in fiscal 2016, as well. As the Wall Street Journal reported this week, long-term returns for public pension funds have now fallen to the lowest levels on record.
A new milestone
So in two more fiscal years, the city’s pension contribution will hit a whopping $10 billion—11 percent of projected city expenditures, and 17 percent of projected city taxes, as illustrated in the chart below.
The city’s fiscal 2017 pension contribution will be nearly seven times the level inherited by Mayor Michael Bloomberg when he took office in 2002. The increase over the past 15 years—from $1.4 billion in Rudolph Giuliani’s last budget to $9.3 billion last year and projected $10 billion in 2019—reflects both benefit increases and sharp market losses. A few years ago, the city began a phased-in reduction of its assumed return, to 7 percent from 8 percent—but even at 7 percent, it is unrealistically high to serve as the basis for valuing liabilities that are constitutionally guaranteed and virtually free of risk for beneficiaries. More recently, the pension fund has adjusted actuarial assumptions to reflect longer expected life-spans of current and retired city employees.